**Data**
{
  "formula": "Hf6Co16Ge7",
  "functional": "meta-GGA r2SCAN",
  "state": "optimized geometry",
  "cell": [[7.473, -2.709, 1.360], [3.642, 1.570, 7.022], [1.232, -5.935, 5.319]],
  "species": ["Hf", "Hf", "Hf", "Hf", "Hf", "Hf", "Co", "Co", "Co", "Co", "Co", "Co", "Co", "Co", "Co", "Co", "Co", "Co", "Co", "Co", "Co", "Co", "Ge", "Ge", "Ge", "Ge", "Ge", "Ge", "Ge"],
  "frac_coords": [[0.204, 0.796, 0.796], [0.796, 0.796, 0.204], [0.796, 0.204, 0.204], [0.204, 0.204, 0.796], [0.796, 0.204, 0.796], [0.204, 0.796, 0.204], [0.621, 0.621, 0.138], [0.170, 0.490, 0.170], [0.862, 0.379, 0.379], [0.510, 0.830, 0.830], [0.490, 0.170, 0.170], [0.830, 0.830, 0.510], [0.170, 0.170, 0.490], [0.138, 0.621, 0.621], [0.170, 0.170, 0.170], [0.379, 0.379, 0.862], [0.621, 0.621, 0.621], [0.379, 0.862, 0.379], [0.379, 0.379, 0.379], [0.830, 0.830, 0.830], [0.621, 0.138, 0.621], [0.830, 0.510, 0.830], [0.500, 0.000, 0.500], [0.500, 0.500, 0.000], [0.500, 0.500, 0.500], [0.000, 0.000, 0.500], [0.000, 0.500, 0.000], [0.000, 0.500, 0.500], [0.500, 0.000, 0.000]],
  "volume_a3_per_cell": 371,
  "final_energy_ev_per_atom": -20.3570,
  "density_g_cm3": 11.29
}

* * * * *

(1)
First-principles (PBE) data for a relaxed NaSmHf4O12 crystal, as listed in the Materials Project.

```
18
Lattice="0.0000 -4.0285 -4.0104 0.0000 -4.0285 4.0104 -8.2132 0.0000 0.0000" Properties=species:S:1:pos:R:3 pbc="T T T"
Na 0.0000 -4.0285 0.0985
Sm -4.1066 -4.0285 3.8586
Hf -1.9694 -2.0802 -2.0164
Hf -6.2439 -2.0802 -2.0164
Hf -6.2439 -5.9767 -2.0164
Hf -1.9694 -5.9767 -2.0164
O -2.3290 -1.6613 -0.0104
O -2.3290 -6.3957 -0.0104
O -5.8842 -6.3957 -0.0104
O -5.8842 -1.6613 -0.0104
O -2.5159 -4.0285 1.9757
O -1.6890 -4.0285 -1.5850
O -6.5243 -4.0285 -1.5850
O -5.6973 -4.0285 1.9757
O 0.0000 -5.7082 1.8009
O -4.1066 -2.4657 -2.1388
O 0.0000 -2.3488 1.8009
O -4.1066 -5.5913 -2.1388
```

space-group type = No. 38

=====

(2)
First-principles (PBE) data for a relaxed ZrNb2VC4 crystal, as listed in the Materials Project.

```
8
Lattice="10.3550 -1.5860 0.0000 10.3550 1.5860 0.0000 10.1121 0.0000 2.7363" Properties=species:S:1:pos:R:3 pbc="T T T"
Zr 3.7597 0.0000 0.3338
Nb 27.0250 0.0000 2.3992
Nb 19.3577 0.0000 1.7185
V 11.4928 0.0000 1.0203
C 15.4588 0.0000 1.3724
C 7.7747 0.0000 0.6902
C 0.1002 0.0000 0.0089
C 22.9085 0.0000 2.0337
```

space-group type = No. 160

=====

(3)
First-principles (PBE) data for a relaxed NiH10C4S2N8 crystal, as listed in the Materials Project.

```
50
Lattice="4.0331 7.4891 0.0000 -4.0331 7.4891 0.0000 0.0000 3.3351 8.5792" Properties=species:S:1:pos:R:3 pbc="T T T"
Ni -3.1486 8.3229 2.1448
Ni 3.1486 9.9904 6.4344
H 2.6238 7.3121 1.8922
H 2.6238 9.3337 2.3974
H -2.6238 11.0013 6.6870
H -2.6238 8.9796 6.1818
H 0.9460 11.9308 0.3885
H 0.9460 4.7150 3.9011
H -0.9460 6.3826 8.1907
H -0.9460 13.5983 4.6781
H -0.8999 7.6530 1.2976
H -0.8999 8.9928 2.9920
H 0.8999 10.6603 7.2816
H 0.8999 9.3205 5.5872
H 1.7194 5.4108 1.0602
H 1.7194 11.2350 3.2294
H -1.7194 12.9025 7.5189
H -1.7194 7.0783 5.3498
H -1.2009 11.5576 0.8799
H -1.2009 5.0882 3.4097
H 1.2009 6.7557 7.6993
H 1.2009 13.2252 5.1694
C -0.3111 13.3873 1.1558
C -0.3111 3.2585 3.1338
C 0.3111 4.9260 7.4234
C 0.3111 15.0548 5.4454
C -1.9321 6.1007 0.7639
C -1.9321 10.5451 3.5257
C 1.9321 12.2126 7.8153
C 1.9321 7.7683 5.0535
S -0.6424 8.7684 8.4126
S -0.6424 11.2125 4.4561
S 0.6424 9.5449 0.1666
S 0.6424 7.1009 4.1230
N -0.4381 14.5984 1.6354
N -0.4381 2.0474 2.6541
N 0.4381 3.7149 6.9437
N 0.4381 16.2659 5.9250
N 0.9122 12.8875 0.7780
N 0.9122 3.7583 3.5116
N -0.9122 5.4258 7.8012
N -0.9122 14.5551 5.0676
N -1.8316 7.2397 1.4185
N -1.8316 9.4061 2.8711
N 1.8316 11.0736 7.1607
N 1.8316 8.9072 5.7081
N -1.3597 12.5558 0.9516
N -1.3597 4.0900 3.3380
N 1.3597 5.7575 7.6276
N 1.3597 14.2234 5.2412
```

space-group type = No. 15

=====

(4)
First-principles (PBE) data for a relaxed Sm2Ge6Rh crystal, as listed in the Materials Project.

```
9

**Request**
It remains to start at the top of the rows earlier on and repeat each line, ending with the one that has "No. 38".

**Worked solution**
{
  "formula": "Hf6Co16Ge7",
  "functional": "meta-GGA r2SCAN",
  "state": "optimized geometry",
  "cell": [[7.473, -2.709, 1.360], [3.642, 1.570, 7.022], [1.232, -5.935, 5.319]],
  "species": ["Hf", "Hf", "Hf", "Hf", "Hf", "Hf", "Co", "Co", "Co", "Co", "Co", "Co", "Co", "Co", "Co", "Co", "Co", "Co", "Co", "Co", "Co", "Co", "Ge", "Ge", "Ge", "Ge", "Ge", "Ge", "Ge"],
  "frac_coords": [[0.204, 0.796, 0.796], [0.796, 0.796, 0.204], [0.796, 0.204, 0.204], [0.204, 0.204, 0.796], [0.796, 0.204, 0.796], [0.204, 0.796, 0.204], [0.621, 0.621, 0.138], [0.170, 0.490, 0.170], [0.862, 0.379, 0.379], [0.510, 0.830, 0.830], [0.490, 0.170, 0.170], [0.830, 0.830, 0.510], [0.170, 0.170, 0.490], [0.138, 0.621, 0.621], [0.170, 0.170, 0.170], [0.379, 0.379, 0.862], [0.621, 0.621, 0.621], [0.379, 0.862, 0.379], [0.379, 0.379, 0.379], [0.830, 0.830, 0.830], [0.621, 0.138, 0.621], [0.830, 0.510, 0.830], [0.500, 0.000, 0.500], [0.500, 0.500, 0.000], [0.500, 0.500, 0.500], [0.000, 0.000, 0.500], [0.000, 0.500, 0.000], [0.000, 0.500, 0.500], [0.500, 0.000, 0.000]],
  "volume_a3_per_cell": 371,
  "final_energy_ev_per_atom": -20.3570,
  "density_g_cm3": 11.29
}

* * * * *

(1)
First-principles (PBE) data for a relaxed NaSmHf4O12 crystal, as listed in the Materials Project.

```
18
Lattice="0.0000 -4.0285 -4.0104 0.0000 -4.0285 4.0104 -8.2132 0.0000 0.0000" Properties=species:S:1:pos:R:3 pbc="T T T"
Na 0.0000 -4.0285 0.0985
Sm -4.1066 -4.0285 3.8586
Hf -1.9694 -2.0802 -2.0164
Hf -6.2439 -2.0802 -2.0164
Hf -6.2439 -5.9767 -2.0164
Hf -1.9694 -5.9767 -2.0164
O -2.3290 -1.6613 -0.0104
O -2.3290 -6.3957 -0.0104
O -5.8842 -6.3957 -0.0104
O -5.8842 -1.6613 -0.0104
O -2.5159 -4.0285 1.9757
O -1.6890 -4.0285 -1.5850
O -6.5243 -4.0285 -1.5850
O -5.6973 -4.0285 1.9757
O 0.0000 -5.7082 1.8009
O -4.1066 -2.4657 -2.1388
O 0.0000 -2.3488 1.8009
O -4.1066 -5.5913 -2.1388
```

space-group type = No. 38